[What to do]
Now work out how many lines below have the word "Project" in them; a number is enough.

[Source]
- - -
Record 1
A relaxed BaMg6SiO8 crystal. Source: Materials Project, functional PBE.

Output
- Energy relative to the lowest polymorph listed for this composition: 0.020 eV per atom
- Total magnetization: 0.0 μB/f.u.

```
data_BaMg6SiO8
_cell_length_a 4.799
_cell_length_b 4.799
_cell_length_c 8.634
_cell_angle_alpha 90.00
_cell_angle_beta 90.00
_cell_angle_gamma 90.00
_space_group_name_H-M_alt 'P 4/m m m'
_space_group_IT_number 123
_space_group_name_Hall '-P 4 2'
loop_
_atom_site_label
_atom_site_fract_x
_atom_site_fract_y
_atom_site_fract_z
_atom_site_occupancy
Ba1 0.000 0.000 0.000 1
Mg1 0.000 0.500 0.265 1
Mg2 0.500 0.500 0.000 1
Mg3 0.500 0.500 0.500 1
Si1 0.000 0.000 0.500 1
O1 0.000 0.000 0.289 1
O2 0.000 0.500 0.000 1
O3 0.000 0.500 0.500 1
O4 0.500 0.500 0.252 1
```

---

Record 2
A relaxed BaMg6SiO8 crystal. Source: Materials Project, functional PBE.

Output
- Energy relative to the lowest polymorph listed for this composition: 0.000 eV per atom
- Total magnetization: 0.0 μB/f.u.

```
data_BaMg6SiO8
_cell_length_a 4.677
_cell_length_b 4.677
_cell_length_c 9.007
_cell_angle_alpha 90.00
_cell_angle_beta 90.00
_cell_angle_gamma 90.00
_space_group_name_H-M_alt 'P 4/m m m'
_space_group_IT_number 123
_space_group_name_Hall '-P 4 2'
loop_
_atom_site_label
_atom_site_fract_x
_atom_site_fract_y
_atom_site_fract_z
_atom_site_occupancy
Ba1 0.000 0.000 0.000 1
Mg1 0.000 0.000 0.500 1
Mg2 0.000 0.500 0.272 1
Mg3 0.500 0.500 0.500 1
Si1 0.500 0.500 0.000 1
O1 0.000 0.000 0.283 1
O2 0.000 0.500 0.000 1
O3 0.000 0.500 0.500 1
O4 0.500 0.500 0.267 1
```

---

Record 3
A relaxed BaMg14SiO16 crystal. Source: Materials Project, functional PBE.

Output
- Total magnetization: 0.1 μB/f.u.

```
data_BaMg14SiO16
_cell_length_a 4.561
_cell_length_b 8.644
_cell_length_c 8.900
_cell_angle_alpha 90.00
_cell_angle_beta 90.00
_cell_angle_gamma 90.00
_space_group_name_H-M_alt 'P m m m'
_space_group_IT_number 47
_space_group_name_Hall '-P 2 2'
loop_
_atom_site_label
_atom_site_fract_x
_atom_site_fract_y
_atom_site_fract_z
_atom_site_occupancy
Ba1 0.000 0.000 0.000 1
Mg1 0.000 0.000 0.500 1
Mg2 0.000 0.258 0.265 1
Mg3 0.000 0.500 0.500 1
Mg4 0.500 0.000 0.266 1
Mg5 0.500 0.252 0.500 1
Mg6 0.500 0.263 0.000 1
Mg7 0.500 0.500 0.255 1
Si1 0.000 0.500 0.000 1
O1 0.000 0.000 0.280 1
O2 0.000 0.253 0.500 1
O3 0.000 0.285 0.000 1
O4 0.000 0.500 0.270 1
O5 0.500 0.000 0.000 1
O6 0.500 0.000 0.500 1
O7 0.500 0.250 0.250 1
O8 0.500 0.500 0.000 1
O9 0.500 0.500 0.500 1
```

---

Record 4
A relaxed BaMg14SiO16 crystal. Source: Materials Project, functional PBE.

Output
- Total magnetization: 0.0 μB/f.u.

```
data_BaMg14SiO16
_cell_length_a 8.776
_cell_length_b 8.776
_cell_length_c 4.537
_cell_angle_alpha 90.00
_cell_angle_beta 90.00
_cell_angle_gamma 90.00
_space_group_name_H-M_alt 'P 4/m m m'
_space_group_IT_number 123
_space_group_name_Hall '-P 4 2'
loop_
_atom_site_label
_atom_site_fract_x
_atom_site_fract_y
_atom_site_fract_z
_atom_site_occupancy
Ba1 0.000 0.000 0.000 1
Mg1 0.000 0.264 0.500 1
Mg2 0.000 0.500 0.000 1
Mg3 0.249 0.500 0.500 1
Mg4 0.257 0.257 0.000 1
Si1 0.500 0.500 0.000 1
O1 0.000 0.000 0.500 1
O2 0.000 0.280 0.000 1
O3 0.000 0.500 0.500 1
O4 0.246 0.500 0.000 1
O5 0.251 0.251 0.500 1
O6 0.500 0.500 0.500 1
```

---

Record 5
A relaxed BaMg2Si2O7 crystal. Source: Materials Project, functional PBE.

```
data_BaMg2Si2O7
_cell_length_a 7.351
_cell_length_b 12.855
_cell_length_c 13.909
_cell_angle_alpha 90.00
_cell_angle_beta 90.23
_cell_angle_gamma 90.00
_space_group_name_H-M_alt 'C 1 2/c 1'
_space_group_IT_number 15
_space_group_name_Hall '-C 2yc'
loop_
_atom_site_label
_atom_site_fract_x
_atom_site_fract_y
_atom_site_fract_z
_atom_site_occupancy
Ba1 0.202 0.016 0.121 1
Mg1 0.000 0.229 0.250 1
Mg2 0.000 0.231 0.750 1
Mg3 0.038 0.235 0.509 1
Si1 0.178 0.395 0.621 1
Si2 0.215 0.374 0.134 1
O1 0.003 0.320 0.866 1
O2 0.075 0.276 0.115 1
O3 0.093 0.484 0.121 1
O4 0.117 0.116 0.942 1
O5 0.171 0.116 0.295 1
O6 0.219 0.141 0.754 1
O7 0.249 0.139 0.485 1
- - -

[Reply]
5